Friday 26 July 2019

Kirke's Lambs

Here are Kirke's Lambs, more formally known as the Queen Dowager's Regiment of Foote, hard-bitten veterans of the Tangiers garrison. There was nothing lamb-like about their behaviour after the battle of Sedgemoor, when they ruthlessly hunted down fugitive rebels and executed .

The historian Lord Macaulay describes the eponymous Colonel Percy Kirke as "a military adventurer whose vices had been developed by the worst of all schools, Tangier.... Within the ramparts of his fortress he was a despotic prince. The only check on his tyranny was the fear of being called to account by a distant and a careless government. He might therefore safely proceed to the most audacious excesses of rapacity, licentiousness, and cruelty. He lived with boundless dissoluteness, and procured by extortion the means of indulgence." He was personally responsible for ordering the hanging of at least 100 rebels. He famously promised to spare an innkeepers life if his daughter slept with him. She did, but in the morning awoke to find her father's corpse hanging from the window.

I bought around two dozen of the painted Front Rank minis on eBay, and some more (including the super Colonel Kirke) from a chap called Malcolm (sorry don't know the surname). The splendid flags are from Iain at Flags of War.

Here are the shotte. I messed up by using only flintlock-armed minis; at Sedgemoor, most of the Lambs would have carried matchlocks. Still, though, not too shabby!

Finally, I really like this shot, from the rear. I mixed madder, a brownish red, into the paint for some of the minis' tunics, as it was likely a major component in the dyes of the time. The bases are of my own design, so that I can swap out the command stand and even the pike, for more shotte.

Wednesday 24 July 2019

Italian Crossbowmen

In the current sweltering heat, it seems appropriate to be working on Italians. Here's a unit you may have seen before (as a smaller unit), which I've recently expanded from two FK&P6 bases, to three, so that I can field them both on a 20cm grid as well as on a 15cm. The photos aren't the best (too much light), but you can see where I am coming from. The minis are Perry plastic mercenaries. The new minis (top right element, bottom left element) were painted by Shaun McTague, you can see them better, below. Nicely done!

I might, later, replace the flag which is a little anachronistic, with a Pete's Flags condottiere flag. 

I'm just finishing up some more light cavalry, along with some super arquebusiers. Soon, I'll be opening a new Burgundian front. There are a lot of minis going on bases, around here!

Monday 22 July 2019

Fun with de-basing

I believe that only three things are certain, in life: Death, taxes and the need to re-base miniatures.

I base well over 1000 minis a year, mostly onto the very large bases I designed and use with "To the Strongest!" and "For King and Parliament." Perhaps half of these need to be stripped off old bases, first, usually the 2mm MDF bases that we have learned to love over the last decade.* Following a discussion on TMP, I thought it might be useful to describe how I do this, because I have had a lot of practice!

The steps are:

1. Find a tray with a flat bottom, a jug of water and, ideally, a stack of pennies.
2. Place the bases in the tray on a couple of pennies each (this allows water to get under the bases, and speeds the process). See pic above.
3. Carefully pour water into the tray, to bring the level of the water level with the top of the bases. If a little water goes onto the top of the bases, that's all for the good. However, should the minis be in water up to their knees (or hooves), you risk damaging their paint. See below; the water is just wetting the top of the base, but not enough to frighten the horses.

4. Leave the bases in the water for 24 hours or rather longer, especially if the bases are 3mm thick. The longer, the better results. The bases will gradually absorb water and get  thicker and thicker. Top the water level up, if necessary. A nice by-product of the process is that, after the first hour or so,  the thrifty baser can often salvage any tufts. Just remove them with a pair of tweezers (below), leave them to dry and re-use, later, with a little PVA. 

5. Give some of the minis a gentle tug, and see if they will pull off the base. If they were originally glued with wood glue, they will, most likely, come away very easily.

If, on the other hand, they were glued with superglue or UHU, you'll need to "crumble" the MDF base away (see below), and carefully trim away the remaining MDF and glue from under the individual bases with a sharp craft knife.

And there you have it; it's easier (and safer) than hacking away at dry MDF with a scalpel.

*... although theologists talk of an especially hot corner of hell, that is reserved for those who superglue minis to pennies, or, worse still, plywood.

Friday 19 July 2019

Gallic Horse

Here are some photos of my extended and re-based Gallic horse. These are, strictly, part of my Gallic army as seen  at Salute in April, but they weren't needed for the Mancetter battle. Shaun McTague very kindly painted a dozen more for me, which I mixed in with the 36 I already had, to give me a generous total of 48. Each unit now consists of a whopping 16 miniatures. This gives me a broadly similar representational scale between my infantry and cavalry units. I'm gradually adding extra cavalry to bring my other armies up to the same standard.

Almost all of the minis are Wargames Foundry. I took the opportunity to "tart up" the existing figures and re-based onto my 20cm grid-half bases, which fit together to make a unit 19cm wide by 13cm deep for the 20cm grid. The photos don't do them justice.  :-(

These are half the heavy cavalry that I require for my 2020 To the Strongest! Salute game. The other half will be "Romanised" Gallic horse- semi-uniformed types, proto auxiliaries, in fact.

I've been basing a lot of other great stuff- I hope to post some more photos, next week!

Sunday 14 July 2019

Royal Dragoons WIP

I've been very busy painting and basing, recently, too busy to post very much, although I will catch up. But here is a WIP shot of the Royal Dragoons, for a future Sedgemoor project. They are North Star 1672 minis, very nicely painted, mostly by chum Steve Spence, although I couldn't resist painting a couple, myself. They are nice Copplestone-sculpted minis, with a fair few variants, and (very conveniently) North Star have recently begun to extend the range with some new dragoon command groups and rumours of Spaniards.*

Between two parts of the page: quantum chemistry results
____________
Density functional theory data (wB97M-V/def2-TZVPD) for the ion C3H4NO with charge +1.

Last column: natural (NBO) charge in e.
Cartesian coordinates (Å):
C -2.95495 0.07697 0.28218  0.459
C 0.07103 -0.34518 0.00409  -0.756
C -0.82793 0.67390 -0.48599  0.611
N -3.81324 -0.49362 0.76126  -0.137
O -2.04480 0.82168 -0.30318  -0.339
H 0.24835 -1.20229 -0.52239  0.328
H 0.89208 0.23981 0.08254  0.278
H -0.24147 -0.69176 1.03959  0.300
H -0.38332 1.53656 -1.11989  0.256

Orbital gap   10.56 eV
HOMO energy   -17.986 eV
2S+1   1
Net charge   +1

Density functional theory data (wB97M-V/def2-TZVPD) for a cluster of 3 separate species, C16H24BrN5O2P in total.

Last column: natural (NBO) charge in e.
Cartesian coordinates (Å):
O 0.72140 -0.47202 -5.16224  -1.004
P -0.04813 -0.17751 -3.95687  1.659
N 0.60981 -0.92440 -2.50132  -0.789
C 0.33299 -2.10439 -2.07058  0.772
N -0.62289 -2.89580 -2.72337  -0.693
C -1.67362 -3.19002 -1.69912  0.074
O -1.12521 -3.64508 -0.49052  -0.503
C -0.27861 -2.64673 0.05302  0.262
C 0.11593 -2.97375 1.47577  -0.436
C 1.38275 -2.26652 1.97324  -0.428
C 1.41764 -0.78111 1.66510  -0.443
Br 3.10941 -0.03067 2.25253  -0.005
N 0.90774 -2.53759 -0.87591  -0.680
H -1.39492 -0.54320 -3.98129  -0.053
H -0.01802 1.13506 -3.47492  -0.067
H 1.28708 -0.36370 -1.92902  0.495
H -0.17382 -3.76665 -3.00627  0.412
H -2.21600 -2.25272 -1.53271  0.170
H -2.35648 -3.93916 -2.08530  0.234
H -0.80271 -1.68475 -0.02393  0.167
H 0.18410 -4.05996 1.56738  0.243
H -0.72430 -2.66691 2.10487  0.235
H 1.39763 -2.37738 3.05904  0.237
H 2.27916 -2.77261 1.61149  0.220
H 0.66435 -0.22016 2.21461  0.246
H 1.34233 -0.54934 0.60720  0.208
H 1.25398 -3.48741 -1.01573  0.403
N -1.41009 1.05214 2.66972  -0.437
C -2.21439 0.70266 1.66790  0.012
C -3.19443 1.52680 1.13895  -0.253
C -3.35017 2.79336 1.68369  -0.163
C -2.52338 3.17232 2.72796  -0.250
C -1.57258 2.26927 3.18452  0.040
H -2.06786 -0.29950 1.27229  0.169
H -3.82231 1.18536 0.32686  0.221
H -4.10540 3.46867 1.30377  0.230
H -2.61206 4.14723 3.18689  0.233
H -0.90925 2.53063 4.00090  0.207
N 1.84085 1.16250 -0.88766  -0.523
C 2.95363 1.83455 -1.19078  0.064
C 3.15255 3.16350 -0.85677  -0.243
C 2.14975 3.83312 -0.17465  -0.139
C 0.98940 3.14674 0.14959  -0.237
C 0.88393 1.82018 -0.22598  0.026
H 3.71852 1.27852 -1.71980  0.206
H 4.07534 3.65774 -1.12476  0.239
H 2.27141 4.87151 0.10320  0.233
H 0.18221 3.62624 0.68588  0.234
H -0.00726 1.25097 0.02315  0.194

Orbital gap   8.07 eV
HOMO energy   -12.294 eV
2S+1   1
Net charge   +1

Density functional theory data (wB97M-V/def2-TZVPD) for a structure of composition C31H34As2N5RuS3.

Last column: Löwdin charge in e.
Cartesian coordinates (Å):
Ru 0.13767 1.37875 -0.70149  0.606
C -4.55452 -1.72645 3.73870  -0.054
C -3.36123 -1.02275 3.15189  -0.285
C -2.06187 -1.30268 3.58341  -0.042
C -0.96576 -0.69912 3.00859  -0.046
C -1.08026 0.25916 1.97591  -0.297
N 0.02423 0.79839 1.36063  -0.135
C 1.11681 1.04777 2.18734  -0.349
C 0.99793 1.60028 3.47260  -0.026
____________

I've decided to go with the dragoons as a 24-man unit which (at least for Sedgemoor) will operate in two halves, on the wings of the Royal army. I also plan to do the unit dismounted, with all 24 horses and horse holders. Raising a regiment of dragoons is a serious commitment, and not for the fainthearted!

*Some grenadiers in furry hats, with firelocks, would be a splendid addition, Nick  :-)

Thursday 4 July 2019


Here is the first finished battalion for my Late c.17th project, in fact the very minis that attracted me to the period. David Imrie very kindly sold me these miniatures some five years back. They represent a battalion of around 1690 from the French Regiment Tournaisis, which served in Ireland and elsewhere. The picture is clickable. David's painting is superb- I can't get anywhere near this standard.

All of the miniatures are from the superb Front Rank Late c.17th range, and the flags are Flags of War. Having bought the 40-odd minis from David, I find that I have bought some four hundred and fifty more painted minis from various sources. Eventually there will be a set of rules and a display game, but don't hold your breath. :-)

It took me years to decide how to base them, and I settled on two wings of 12 shotte, 8 pike and a command stand of 5. My friend Ian Notter and I designed a series of wobbly-edged bases to carry them. There are four bases which means I can swap out the command stand for one with different flags, from a different nation, perhaps, or swap out the pike for an extra stand of shotte so that I can use the minis for the early c18th. The new bases can be found in the BigRedBatShop, here.

Finally, here's a closeup of the command stand. What I love most about this period is the cut of the uniforms, but I'm also mad for the floppy hats with ribbons around the edges.